
Folder 2003


pdf Submission to Building Industry Authority on timber framing - August 2003

Joint submission from NZ Forest Industries Council, FOA, NZ Farm Forestry Association and NZ Pine Manufacturers Association on the proposed changes to Building Code Clause B2/AS1 in response to the leaky building problems

pdf Submission on proposed new forest and rural fire regulations - November 2003

-- Misplaced crystal structures --
┌──
No. 1
Simulated XRD peak list of Zr3CuC2 for Cu Kα (λ = 1.5418 Å), from a GGA-PBE-relaxed structure.
Kinematic intensities with the Lorentz-polarization factor, no thermal factor.

Top 10 peaks for 15 to 90 degrees two-theta, by angle:
| two_theta | I (rel.) |
| --- | --- |
| 31.15 | 32 |
| 36.43 | 100 |
| 38.60 | 17 |
| 39.30 | 35 |
| 50.16 | 6 |
| 54.36 | 15 |
| 54.72 | 31 |
| 67.53 | 15 |
| 68.43 | 8 |
| 68.95 | 18 |

Structural model:
Lattice parameters (Å, degrees): 3.3550 3.3550 18.6594 90.00 90.00 120.00
Fractional coordinates of all 12 atoms:
Zr (0.0000, 0.0000, 0.0000)
Zr (0.0000, 0.0000, 0.5000)
Zr (0.3333, 0.6667, 0.1405)
Zr (0.3333, 0.6667, 0.3595)
Zr (0.6667, 0.3333, 0.6405)
Zr (0.6667, 0.3333, 0.8595)
Cu (0.0000, 0.0000, 0.2500)
Cu (0.0000, 0.0000, 0.7500)
C (0.3333, 0.6667, 0.5757)
C (0.3333, 0.6667, 0.9243)
C (0.6667, 0.3333, 0.0757)
C (0.6667, 0.3333, 0.4243)


No. 2
Simulated XRD peak list of Dy2C5 for Cu Kα (λ = 1.5418 Å), from a GGA-PBE-relaxed structure.
Kinematic intensities with the Lorentz-polarization factor, no thermal factor.

Top 10 peaks for 15 to 90 degrees two-theta, by angle:
| two_theta | I (rel.) |
| --- | --- |
| 25.16 | 91 |
| 27.10 | 32 |
| 29.44 | 38 |
| 37.31 | 100 |
| 40.44 | 34 |
| 41.43 | 21 |
| 49.69 | 20 |
| 57.51 | 23 |
| 59.28 | 22 |
| 62.22 | 16 |

Structural model:
Lattice parameters (Å, degrees): 4.9785 4.9785 4.9785 128.08 104.89 97.25
Fractional coordinates of all 7 atoms:
Dy (0.2484, 0.2484, 0.0000)
Dy (0.7516, 0.7516, 0.0000)
C (0.0000, 0.5000, 0.5000)
C (0.2166, 0.5000, 0.7166)
C (0.3917, 0.0000, 0.3917)
C (0.6083, 0.0000, 0.6083)
C (0.7834, 0.5000, 0.2834)


No. 3
Simulated XRD peak list of Dy2C3 for Cu Kα (λ = 1.5418 Å), from a GGA-PBE-relaxed structure.
Kinematic intensities with the Lorentz-polarization factor, no thermal factor.

Top 10 peaks for 15 to 90 degrees two-theta, by angle:
| two_theta | I (rel.) |
| --- | --- |
| 26.57 | 48 |
| 30.78 | 100 |
| 34.52 | 98 |
| 41.10 | 50 |
| 52.21 | 28 |
| 57.16 | 65 |
| 61.84 | 28 |
| 74.89 | 19 |
| 87.16 | 21 |
| 89.18 | 16 |

Structural model:
Lattice parameters (Å, degrees): 7.1166 7.1166 7.1166 109.47 109.47 109.47
Fractional coordinates of all 20 atoms:
Dy (0.0000, 0.3989, 0.5000)
Dy (0.0000, 0.8989, 0.5000)
Dy (0.1011, 0.1011, 0.1011)
Dy (0.3989, 0.5000, 0.0000)
Dy (0.5000, 0.0000, 0.3989)
Dy (0.5000, 0.0000, 0.8989)
Dy (0.6011, 0.6011, 0.6011)
Dy (0.8989, 0.5000, 0.0000)
C (0.0435, 0.7500, 0.7935)
C (0.2065, 0.7500, 0.9565)
C (0.2500, 0.5435, 0.2935)
C (0.2500, 0.7065, 0.4565)
C (0.2935, 0.2500, 0.5435)
C (0.4565, 0.2500, 0.7065)
C (0.5435, 0.2935, 0.2500)
C (0.7065, 0.4565, 0.2500)
C (0.7500, 0.7935, 0.0435)
C (0.7500, 0.9565, 0.2065)
C (0.7935, 0.0435, 0.7500)
C (0.9565, 0.2065, 0.7500)


No. 4
Simulated XRD peak list of DyC8 for Cu Kα (λ = 1.5418 Å), from a GGA-PBE-relaxed structure.
Kinematic intensities with the Lorentz-polarization factor, no thermal factor.

Top 10 peaks for 15 to 90 degrees two-theta, by angle:
└──

Submission on proposed new Forest and Rural Fire Regulations

pdf Sea Container Review Submission - April 2003

The maintenance and improvement of the biosecurity processes at the borders of New Zealand is fundamental to the economic, environmental and social welfare of this country. An adequate biosecurity regime must encompass all sectors of economic and social activity with the responsibilities and obligations clearly stated and acknowledged

-- Here the piece breaks off for records of crystals --
+++
Record 1
This entry pairs a crystal structure of Nb4Pb2CN with its simulated X-ray diffraction stick pattern. Radiation: Cu Kα, 1.54184 Å. Structure: a cell relaxed with PBE.
Kinematic intensities with the Lorentz-polarization factor, no thermal factor.

Structural model:
abc: 3.3167 3.3167 14.0145
angles: 90.00 90.00 120.00
Element x y z (fractional)
Nb  0.3333  0.6667  0.0800
Nb  0.3333  0.6667  0.4236
Nb  0.6667  0.3333  0.5764
Nb  0.6667  0.3333  0.9200
Pb  0.3333  0.6667  0.7481
Pb  0.6667  0.3333  0.2519
C  0.0000  0.0000  0.0000
N  0.0000  0.0000  0.5000

Peak list (10 most intense, 2θ from 15° to 90°, by angle)
2θ (°), I (rel.)
25.4, 7
31.1, 23
31.8, 12
36.7, 100
38.5, 18
50.4, 15
55.4, 21
68.3, 16
68.5, 15
69.5, 19



Record 2
This entry pairs a crystal structure of K5H2Pd2I10O30 with its simulated X-ray diffraction stick pattern. Radiation: Cu Kα, 1.54184 Å. Structure: a cell relaxed with PBE.
Kinematic intensities with the Lorentz-polarization factor, no thermal factor.

Structural model:
abc: 8.0979 8.0979 12.7803
angles: 107.26 107.26 91.10
Element x y z (fractional)
K  0.0000  0.0000  0.0000
K  0.0000  0.5000  0.0000
K  0.2611  0.7389  0.5000
K  0.5000  0.0000  0.0000
K  0.7389  0.2611  0.5000
H  0.4554  0.4554  0.5405
H  0.5446  0.5446  0.4595
Pd  0.4047  0.4047  0.8800
Pd  0.5953  0.5953  0.1200
I  0.0901  0.0901  0.7260
I  0.1193  0.6267  0.7458
I  0.2413  0.2413  0.5367
I  0.3606  0.3606  0.2235
I  0.3733  0.8807  0.2542
I  0.6267  0.1193  0.7458
I  0.6394  0.6394  0.7765
I  0.7587  0.7587  0.4633
I  0.8807  0.3733  0.2542
I  0.9099  0.9099  0.2740
O  0.0352  0.2729  0.4410
O  0.0417  0.2734  0.6630
O  0.1221  0.3582  0.1710
O  0.1352  0.8332  0.1820
O  0.1668  0.8648  0.8180
O  0.2198  0.2198  0.8753
O  0.2260  0.5805  0.8822
O  0.2729  0.0352  0.4410
O  0.2734  0.0417  0.6630
O  0.2977  0.5892  0.6787
O  0.3582  0.1221  0.1710
O  0.3746  0.3746  0.4688
O  0.4036  0.4036  0.0998
O  0.4108  0.7023  0.3213
O  0.4195  0.7740  0.1178
O  0.5805  0.2260  0.8822
O  0.5892  0.2977  0.6787
O  0.5964  0.5964  0.9002
O  0.6254  0.6254  0.5312
O  0.6418  0.8779  0.8290
O  0.7023  0.4108  0.3213
O  0.7266  0.9583  0.3370
O  0.7271  0.9648  0.5590
O  0.7740  0.4195  0.1178
O  0.7802  0.7802  0.1247
O  0.8332  0.1352  0.1820
O  0.8648  0.1668  0.8180
O  0.8779  0.6418  0.8290
O  0.9583  0.7266  0.3370
O  0.9648  0.7271  0.5590

Peak list (10 most intense, 2θ from 15° to 90°, by angle)
2θ (°), I (rel.)
15.3, 47
22.0, 19
26.7, 94
27.1, 100
30.9, 48
31.6, 27
44.3, 21
44.8, 32
52.5, 15
52.7, 15



Record 3
This entry pairs a crystal structure of Pr2NiSn4Pt with its simulated X-ray diffraction stick pattern. Radiation: Cu Kα, 1.54184 Å. Structure: a cell relaxed with PBE.
Kinematic intensities with the Lorentz-polarization factor, no thermal factor.

Structural model:
abc: 4.5381 4.5560 9.6358
angles: 90.00 101.66 90.00
Element x y z (fractional)
Pr  0.0000  0.0000  0.0000
Pr  0.3019  0.5000  0.4487
Ni  0.8308  0.0000  0.5793
+++

pdf Inquiry into the New Zealand Electricity Industry - July 2003

Energy is a significant cost for the manufacturing sector and some companies in the forest industry sector are amongst the largest users of electricity in the country. For them, as well as the smaller users, an adequate, reliable, and cost efficient supply of energy is a fundamental requirement to maintain commercial viability and continue to expand ...

pdf Import Health Standards for treated used vehicles imported into New Zealand - May 2003

The protection of NZ's forest estate from the introduction of exotic forest pests and diseases is one of the major objectives of the Association. If an exotic pest or disease was to become established in the country's exotic plantations, the impact on the industry, regions and the whole economy could be extremely serious

pdf Guarding New Zealand's Triple Star - Draft Biosecurity Strategy for New Zealand - March 2003

The forest industry has a major interest and stake in an efficient and effective national biosecurity strategy. Any introduction of exotic pests or diseases not only poses a threat to the productive capacity of the industry, but also threatens the closure of overseas markets to New Zealand forest product exports

pdf Draft General Policy National Parks Act - December 2003

FOA strongly supports the need for a revision of the statement of General Policy for National Parks.We also support the need for there to be consistency between the Conservation General Policy and the National Parks Policy

pdf ACC Levy Rates 04/05 Consultation - September 2003

## Misplaced records of crystals
┌──
# V4OF11
Calculated powder diffraction line list, copper Kα. Input: the GGA+U geometry in Alexandria.
Kinematic intensities with the Lorentz-polarization factor, no thermal factor.

Principal peaks in the range 15 to 90 degrees two-theta, in order of rising 2θ:
d [Å], I (rel.), index
3.797, 100, 1 1 1
3.752, 52, 2 0 -2
2.728, 8, 2 0 2
2.718, 14, 3 1 -1
2.283, 10, 2 2 0
2.276, 10, 1 1 3
2.261, 8, 3 1 -3
1.898, 21, 2 2 2
1.876, 10, 4 0 -4
1.719, 25, 3 1 3
1.706, 13, 5 1 -3
1.522, 8, 1 3 -3

Structure:
```
data_V4OF11
_chemical_formula_sum 'V8 O2 F22'
_space_group_name_H-M_alt 'C 1 2 1'
_space_group_IT_number 5
_cell_length_a 9.516
_cell_length_b 5.287
_cell_length_c 9.060
_cell_angle_alpha 90.00
_cell_angle_beta 107.99
_cell_angle_gamma 90.00
loop_
_space_group_symop_operation_xyz
'x,y,z'
'-x,y,-z'
'x+1/2,y+1/2,z'
'-x+1/2,y+1/2,-z'
loop_
_atom_site_label
_atom_site_fract_x
_atom_site_fract_y
_atom_site_fract_z
_atom_site_occupancy
V1 0.117 0.000 0.383 1
V2 0.126 0.496 0.873 1
O1 0.000 0.069 0.500 1
F1 0.000 0.593 0.000 1
F2 0.005 0.192 0.800 1
F3 0.006 0.688 0.302 1
F4 0.242 0.300 0.449 1
F5 0.244 0.910 0.254 1
F6 0.247 0.801 0.948 1
```

=====

Starting from a PBE-relaxed structure, the PXRD pattern of Sm10HoSc6 was simulated for Cu Kα.

Principal peaks in the range 10° ≤ 2θ ≤ 90°, low angle first:
2θ 22.98, intensity 20, hkl 2 -1 1; 2θ 25.44, intensity 6, hkl 2 0 1; 2θ 28.77, intensity 6, hkl 2 1 0; 2θ 31.77, intensity 17, hkl 3 -1 1; 2θ 32.72, intensity 100, hkl 1 1 2; 2θ 46.95, intensity 16, hkl 4 -2 2; 2θ 50.30, intensity 8, hkl 3 2 1; 2θ 58.40, intensity 26, hkl 2 -1 4; 2θ 61.32, intensity 7, hkl 4 0 3; 2θ 64.70, intensity 7, hkl 6 -1 1; 2θ 68.58, intensity 6, hkl 2 2 4; 2θ 78.07, intensity 10, hkl 5 -1 4

Structure:
```
Sm10HoSc6
1.0
9.484 0.000 0.000
-4.742 8.214 0.000
0.000 0.000 6.700
Sm Ho Sc
10 1 6
Direct
0.000 0.282 0.322
0.000 0.718 0.678
0.282 0.000 0.322
0.282 0.282 0.678
0.333 0.667 0.000
0.333 0.667 0.500
0.667 0.333 0.000
0.667 0.333 0.500
0.718 0.000 0.678
0.718 0.718 0.322
0.000 0.000 0.000
0.000 0.360 0.828
└──

FOA reiterates its view expressed in previous submissions on ACC levies that the current system provides insufficient incentives for improved safety performance or rewards for those employers with lower than average accident rates